Test All Things, Hold Fast What Is Good—But How?
How do you decide what to believe?
The Apostle Paul instructs Christians in 1 Thessalonians 5:21, “Test all things, hold fast what is good.” We all need to develop that ability—and it takes time and effort. A reader recently forwarded to us an email from a fine Christian ministry that bemoaned the proliferation of “fake news” and other bad thinking on... Continue Reading
“The Office of the Christian Ministry”
Do not your hearts burn with celestial fire, to be employed in the noblest work under heaven?
The office of the Christian ministry, rightly understood, is the most honourable and important, that any man in the whole world can ever sustain; and it will be one of the wonders and employments of eternity, to consider the reasons, why the wisdom and goodness of God assigned this office to imperfect and guilty man!... Continue Reading
The Mystery of Iniquity
The simple presence of free will is not enough to explain the origin of evil, in as much as we still must ask how a good being would be inclined freely to choose evil.
One of the most important approaches to the problem of evil is that set forth originally by Augustine and then later by Aquinas, in which they argued that evil has no independent being. Evil cannot be defined as a thing or as a substance or as some kind of being. Rather, evil is always defined... Continue Reading
Slaves of a Good Master
At its core, the essence of the Christian life can be described in terms of slavery to Christ.
In identifying himself as a slave of Christ at the very beginning of the letter, Paul intended that the Philippians—who had been struggling with issues of steadfastness amidst conflict (Phil. 1:27–30; 4:1), unity amongst believers (Phil. 2:1–2; 4:2–3), humility (Phil. 2:3–9), and joy amidst persecution (Phil. 2:17–18; 3:1; 4:4)—would be reminded that they too are... Continue Reading
The Right Response to the Old Testament Law
While we do not adhere to this law, we do still study it to see what it reveals about our God.
The laws will always reflect the law-giver. If you want to know about the character of Boris Johnson, Justin Trudeau, or Donald Trump, you will learn something of it by studying the laws they have advocated. And if you want to know about the character of God, a great place to begin is with a... Continue Reading
Why Creeds?
The word creed comes from the Latin “credo” meaning “I believe.”
## Unrelated to this entry: calculated molecules
'''
Record 1
The ion C4H10NO with charge +1. Source: the Open Molecules 2025 dataset; level of theory: wB97M-V/def2-TZVPD.

Cartesian coordinates (Å):
C1 -2.089 1.734 0.173
C2 -1.129 0.980 -0.446
C3 1.873 -1.316 0.070
C4 -0.293 0.129 0.503
N1 1.085 -0.175 -0.418
O1 -0.855 -1.133 0.574
H1 -2.992 2.186 -0.400
H2 -2.163 1.871 1.203
H3 -1.000 0.810 -1.546
H4 1.500 -2.353 -0.117
H5 2.989 -1.270 -0.278
H6 1.916 -1.222 1.182
H7 0.127 0.560 1.381
H8 1.808 0.543 -0.395
H9 0.668 -0.162 -1.312
H10 -1.446 -1.180 -0.175

Net charge: +1
Energy: -288.0809 a.u.
LUMO level: -3.263 eV
HOMO energy: -0.5434 Eh
ΔE to the lowest compared entry with this formula, charge and spin: 2.237 eV
Structure (SMILES): C=C[C@@H](O)[NH2+]C

Record 2
A cluster of 2 separate species, C4H10NO2 in total. Source: the Open Molecules 2025 dataset; level of theory: wB97M-V/def2-TZVPD.

Cartesian coordinates (Å):
C1 -1.951 1.263 0.083
C2 -1.967 -1.482 0.150
C3 -1.265 -0.151 0.100
C4 0.160 -0.109 0.158
N1 3.596 0.674 -0.856
O1 3.324 0.519 0.548
O2 1.105 -0.937 0.254
H1 -1.624 1.866 0.910
H2 -3.023 1.155 0.056
H3 -1.858 1.895 -0.742
H4 -2.553 -1.585 0.968
H5 -1.165 -2.245 0.500
H6 -2.605 -1.809 -0.674
H7 2.700 0.370 -1.242
H8 0.459 0.970 0.395
H9 4.095 -0.245 -1.140
H10 2.572 -0.150 0.530

Net charge: -1
Energy: -363.5598 a.u.
LUMO level: 4.097 eV
HOMO energy: -0.0910 Eh
ΔE to the lowest compared entry with this formula, charge and spin: 4.479 eV

Record 3
The ion C4H10NO2 with charge -1. Source: the Open Molecules 2025 dataset; level of theory: wB97M-V/def2-TZVPD.

Cartesian coordinates (Å):
C1 -0.521 -1.571 0.939
O1 -1.623 -1.715 1.622
C2 -0.650 -0.364 -0.211
C3 0.237 0.819 0.193
C4 1.293 1.244 -0.860
O2 2.303 0.275 -0.975
N1 -2.012 0.149 -0.211
H1 0.396 -1.392 1.571
H2 -0.168 -2.410 0.233
H3 -0.446 -0.782 -1.194
H4 -0.263 1.717 0.580
H5 0.943 0.509 0.994
H6 0.906 1.344 -1.898
H7 1.819 2.199 -0.684
H8 2.580 -0.425 -0.386
H9 -2.185 1.030 0.234
H10 -2.609 -0.628 0.053

Net charge: -1
Energy: -363.5830 a.u.
LUMO level: 3.756 eV
HOMO energy: -0.0910 Eh
ΔE to the lowest compared entry with this formula, charge and spin: 3.848 eV
Structure (SMILES): N[C@H](C[O-])CCO

Record 4
A cluster of 2 separate species, C4H10NO2 in total. Source: the Open Molecules 2025 dataset; level of theory: wB97M-V/def2-TZVPD.

Cartesian coordinates (Å):
C1 -1.467 0.970 0.871
C2 -0.244 -1.190 0.948
C3 -0.743 -0.269 -1.207
C4 -0.780 -0.224 0.265
N1 2.175 -0.097 0.178
O1 2.091 1.167 -0.442
O2 0.121 0.583 -1.919
H1 -1.052 1.187 1.888
H2 -1.266 1.779 0.294
H3 -2.515 0.751 0.905
H4 -0.043 -2.156 0.692
H5 -0.305 -1.098 2.080
H6 1.099 0.829 -1.362
H7 -0.557 -1.252 -1.614
H8 -1.801 -0.057 -1.534
H9 2.134 -0.772 -0.539
H10 3.152 -0.150 0.495

Net charge: -1
Energy: -363.5283 a.u.
LUMO level: 4.108 eV
HOMO energy: -0.0838 Eh
ΔE to the lowest compared entry with this formula, charge and spin: 5.337 eV

Record 5
The ion C4H10NO2 with charge +1. Source: the Open Molecules 2025 dataset; level of theory: wB97M-V/def2-TZVPD.
'''
Many creeds commence with the formula, “I believe…” or “We believe…” Throughout church history, Christians have articulated their convictions of truth in statements of faith. As the hand of time rolls a creed through the debris of error, its content grows larger and denser until it comes to rest as an immovable mass of solid... Continue Reading
Plead To God Like Your Life Depends On It—Because It Does
Biblically, there is a powerful history of lament—in the wilderness, throughout Psalms, during the exile.
As our hands crack from the ever-growing stain of soap and hand sanitizer and we breathe recycled air through masks, the current season of pandemic presents the joyous opportunity to have our faith strengthened through this foreign, but ancient, form of prayer. When life gets hard, I find myself turning to slave narratives and... Continue Reading
What Is Providence?
Historically, Christians have had an acute sense that this is our Father’s world and that the affairs of men and nations, in the final analysis, are in His hands.
“For those whom he foreknew he also predestined to be conformed to the image of his Son, in order that he might be the firstborn among many brothers. And those whom he predestined he also called, and those whom he called he also justified, and those whom he justified he also glorified” (Romans 8:29–30). ... Continue Reading
Grace for Service
There is nothing static about grace, it is as living and vibrant and dynamic as is Christ himself.
Paul draws attention to this in what he says in Ephesians. Having expounded the grace of salvation as experienced by God’s people collectively as the church in the first half of the letter, he goes on to show how this is worked out practically in its second half. The fact he begins this applicatory section... Continue Reading
Will Christians Be Taken in a Secret Rapture?
The imagery here is that of a conquering king arriving at a city.
When Jesus returns, those who have already died will be brought with him as a great, royal entourage. Those believers who are alive on the earth will rise to meet the returning Lord after the bodily resurrection of those who have already died. Notice how the Lord returns: with a “a cry of command, with the... Continue Reading